You may have heard on the news, through word of mouth, or on Facebook parenting groups that parents have been experiencing problems with Aptamil infant formula ever since their recent change in in formulation.
Parents have been reporting that the prepared formula has been curdling even with correct preparation, and some have even found that their little ones have had upset stomachs!
Aptaclub have released the following public statement in response to complaints;
‘Information for parents on our new Aptamil Infant, Follow On and Growing Up Milks
We have been listening to parents’ feedback about our latest formulations which have been introduced on some of our powdered formula range. Whilst many parents have smoothly transitioned onto these new formula milks, we’re really sorry to hear some people have had problems during these changes. We also appreciate how distressing it can be when babies are unwell and want to support in any way we can. We apologise if any of our valued customers feel let down by our brand, we never wanted parents to feel this way. The safety and quality of our products is our number one priority and we would like to reassure parents that all our formula milks go through strict safety and quality checks and we can confirm they are safe to consume.
We know it can be worrying when making changes to what your baby is fed. This is why we put leaflets in our packaging and sent emails to our customer base before launching our new powder formulations to try and inform as many parents as possible. We apologise if not everyone had a chance to see these.
We are committed to providing parents with the best products and services we possibly can and to continually innovate. We invest hugely in research into early life science and it is from this research we have brought about our latest powdered formulations. Before launching them, we ran exhaustive checks to ensure the quality and safety is of the highest integrity. These included clinical trials, product testing and product experience tests, including trials with babies switching straight from our previous formulations to the new ones. The results we have all assured us that the products were well tolerated by babies and safe to consume. We recognise and appreciate, that for some parents this hasn’t been the case. We know every baby is different and for some they may take a little time to adjust to any changes in how they are fed. We’re here to support you if you are having any challenges during this transition.
# The piece is interrupted by data records
=====
(1)
Material: MgTiFe4O8
Method: DFT, PBE with a Hubbard U
State: relaxed

Output
**Raw total energy**: -195.0 eV per cell
**Spin magnetization**: 2.0 μB per formula unit
**Formation energy**: -2077 meV per atom

a b c (Å): 10.2998 5.9992 6.9949
angles (deg): 90.00 132.66 90.00
Last column: nearest neighbours and their distance in Å.
Space group C2/m (No. 12)
Inequivalent atoms, fractional coordinates:
Mg 0.0000 0.0000 0.0000 (multiplicity 2)  6 O 2.00-2.09
Ti 0.0000 0.5000 0.0000 (multiplicity 2)  6 O 1.96-2.00
Fe 0.2432 0.5000 0.5075 (multiplicity 4)  6 O 2.08-2.31
Fe 0.2500 0.2500 0.0000 (multiplicity 4)  6 O 2.00-2.18
O 0.0340 0.2595 0.2293 (multiplicity 8)  1 Ti 2.00, 1 Mg 2.09, 2 Fe 2.18-2.20
O 0.2418 0.5000 0.8028 (multiplicity 4)  3 Fe 2.00-2.08, 1 Mg 2.00
O 0.2457 0.0000 0.7952 (multiplicity 4)  1 Ti 1.96, 2 Fe 2.05

(2)
Material: MgTi2Fe4O10
Method: DFT, PBE with a Hubbard U
State: relaxed

Output
**Raw total energy**: -125.3 eV per cell
**Spin magnetization**: 18.0 μB per formula unit
**Formation energy**: -2379 meV per atom

a b c (Å): 5.1845 5.6851 7.8653
angles (deg): 110.25 90.97 116.66
Last column: nearest neighbours and their distance in Å.
Space group P1 (No. 1)
Inequivalent atoms, fractional coordinates:
Mg 0.0000 0.0000 0.0000 (multiplicity 1)  6 O 2.04-2.14
Ti 0.7757 0.5887 0.6004 (multiplicity 1)  4 O 1.88-1.97
Ti 0.8052 0.5504 0.1384 (multiplicity 1)  3 O 1.81-1.93
Fe 0.1708 0.3252 0.4010 (multiplicity 1)  5 O 2.03-2.20
Fe 0.2067 0.4235 0.8630 (multiplicity 1)  5 O 1.96-2.14
Fe 0.4454 0.8381 0.2969 (multiplicity 1)  4 O 1.94-2.06
Fe 0.4516 0.9224 0.7456 (multiplicity 1)  4 O 2.00-2.23
O 0.0660 0.4851 0.6581 (multiplicity 1)  1 Ti 1.94, 2 Fe 1.96-2.10
O 0.1190 0.0109 0.7519 (multiplicity 1)  2 Fe 2.00-2.02, 1 Mg 2.07, 1 Ti 2.11
O 0.1867 0.7656 0.0627 (multiplicity 1)  1 Ti 2.03, 2 Fe 2.06-2.08, 1 Mg 2.13
O 0.3862 0.4137 0.1153 (multiplicity 1)  1 Ti 1.93, 1 Mg 2.14
O 0.4940 0.2123 0.4465 (multiplicity 1)  1 Ti 1.88, 1 Fe 1.94
O 0.5603 0.7382 0.5004 (multiplicity 1)  1 Ti 1.97, 3 Fe 2.04-2.15
O 0.6227 0.6213 0.8200 (multiplicity 1)  1 Ti 1.90, 1 Fe 2.04, 1 Mg 2.12
O 0.7999 0.2299 0.9490 (multiplicity 1)  1 Ti 1.90, 1 Fe 2.00, 1 Mg 2.12
O 0.8332 0.9427 0.2237 (multiplicity 1)  2 Fe 1.98-2.03, 1 Ti 2.03, 1 Mg 2.04
O 0.9980 0.5878 0.3476 (multiplicity 1)  1 Ti 1.81

(3)
Material: Mg14TiFeO16
Method: DFT, PBE with a Hubbard U
State: relaxed

Output
**Raw total energy**: -197.1 eV per cell
**Spin magnetization**: 6.0 μB per formula unit
**Formation energy**: -2888 meV per atom

a b c (Å): 8.6003 8.6003 4.2533
angles (deg): 90.00 90.00 90.00
Last column: nearest neighbours and their distance in Å.
Space group P4/mmm (No. 123)
Inequivalent atoms, fractional coordinates:
Mg 0.0000 0.2522 0.0000 (multiplicity 4)  6 O 2.13-2.17
Mg 0.0000 0.5000 0.5000 (multiplicity 2)  6 O 2.10-2.13
Mg 0.2473 0.5000 0.0000 (multiplicity 4)  6 O 2.13-2.17
Mg 0.2489 0.2489 0.5000 (multiplicity 4)  6 O 2.13-2.16
=====
We have heard parents’ comments about how the product mixes. In our tests, we found that our new products are more sensitive to temperature than in the past. Therefore, following the on-pack instructions closely makes more of a difference than before to ensure effective mixing. We recognise this may not be the same as how you previously made up our formula milks. In line with NHS guidelines, we recommend boiling 1 litre of water and leaving it to cool in the kettle for 30 minutes and no longer*.During testing, we found that if the water is not left to cool for long enough and the milk is made at a significantly higher temperature than the recommended 70 degrees Celsius, lumps may form.. In addition to this, it is important to shake the formula milk vigorously and vertically for at least 10 seconds.
If parents or little ones are experiencing issues with our products, please do call our Careline for a one to one discussion so we can understand how to best help you. We take every concern very seriously and rest assured any issues with our products are investigated thoroughly. Please contact us for free on 0800 996 1000, pressing option 0 followed by option 1. We are available on the phone 24/7.
Which products have been reformulated?
Aptamil First Infant Milk powder (stage 1), Aptamil Follow On Milk powder (stage 2), Aptamil Growing Up Milk powders (stages 3 & 4).
The following products remain unchanged: Aptamil First Infant milk liquid (stage 1), Aptamil Follow On Milk liquid (stage 2), Aptamil Growing Up milk liquids (stage 3 and stage 4), as do Aptamil Hungry Infant Milk powder, Aptamil Anti-Reflux powder and Aptamil Comfort powder.
* except Aptamil Anti-Reflux, for which we advise that the kettle should be cooled for 45 minutes and no longer.’
I hope that this information helps anyone who is worrying or has any questions about the current issues being reported! If you are continuing to experience issues, PLEASE keep reporting this!
‘Update: Information for parents on our new Aptamil Infant, Follow On and Growing Up Milks
Following our post yesterday, we have continued to listen to parents’ concerns and feedback about our new formulations. We are very sorry to hear that parents are continuing to experience problems. As with any innovation, our formulas have been tested and clinical trials have shown that babies took well to the new formula and that it is safe to consume.
We have changed our mixing instructions slightly and, with hindsight, we could have made that clearer. But nevertheless, we understand that despite following the instructions, some parents are still experiencing mixing problems.
This is something that we are taking very seriously and we would like to assure you that we will investigate every complaint thoroughly.
We would like to thank you for raising these issues with us and we hope you will give us the opportunity to help you in any way we can. Please contact us for free on 0800 996 1000, pressing option 0 followed by option 1. We are available on the phone 24/7.’
How to contact Aptamil to report issues;
You can do this by calling 0800 996 1000.
You can also contact their complaints department here.
Love from Team BBY. Xx